+++
[1]
The following is a DFT calculation (ωB97M-V/def2-TZVPD) of a 5-piece molecular cluster, C35H72BN5O7Si2 overall.

Each line ends with the Löwdin charge.
CARTESIAN COORDINATES (ANGSTROEM)
H 6.2845 -2.7707 3.4655  0.0848
C 5.8302 6.5759 1.0466  -0.0678
C -6.3031 -0.6965 0.5041  -0.0908
H -8.1685 -0.7026 3.8708  0.0987
H 8.1685 2.5277 -0.6346  0.1038
H -1.4400 1.0558 0.1597  0.0981
C -3.9496 1.4278 -0.4229  -0.2583
O 9.5396 2.2633 1.4376  0.0115
Si 5.3894 0.1892 0.1322  0.7358
H 8.0588 4.8138 -5.3912  0.0740
H -4.4281 1.2054 -1.3826  0.0724
H -9.7712 -5.5957 0.6504  0.0505
H 6.5657 2.7393 0.1290  0.0898
C 5.4216 6.7567 -1.4433  -0.5344
O 7.0797 1.7450 -3.1365  0.0171
N 6.1615 6.4152 -0.3583  0.0133
H 7.4113 0.4865 -1.1914  0.0520
H 8.3841 5.6758 -3.8798  0.0833
H -3.0083 3.3793 -0.0221  0.0808
H 5.8246 5.6034 1.5412  0.0799
C -12.9163 -6.9760 3.1072  -0.0069
C 4.0756 7.3925 -1.1979  -0.0061
H 4.9220 -1.7794 2.8780  0.0825
H -13.3652 -9.3703 2.5003  0.0712
C -12.4478 -9.6940 2.0216  -0.0737
C -0.6976 1.7077 -1.7725  -0.2084
H -10.0518 -7.3342 -0.7985  0.0639
C 6.7129 -3.7785 0.8809  -0.1063
H 3.4284 6.7188 -0.6355  0.0866
B 5.3135 -1.8111 0.4470  -0.5686
H 7.8466 -0.0014 0.4288  0.0740
H 4.8537 7.0327 1.1624  0.0725
O 4.3328 -2.6095 -0.1761  0.0686
H 4.1852 8.3285 -0.6493  0.0857
H -9.3961 -8.0151 -2.2964  0.0815
H 7.8909 3.4375 1.8225  0.1146
C 7.4328 2.5961 -3.9445  -0.5355
H 6.9169 4.0669 -2.7238  0.1204
H 0.4331 0.0738 -2.6202  0.1078
H -3.3738 2.8345 2.1480  0.0183
O -10.6935 -6.5455 2.3358  0.0213
H -0.8541 2.7497 0.0920  0.1031
H 4.5303 -2.6524 -1.1213  0.1024
C 8.0126 2.2368 -5.2911  -0.0080
H 0.0995 -0.0702 -0.8947  0.1090
C -6.3712 3.3506 0.0654  -0.1647
O 5.8417 6.5463 -2.5737  0.0220
H 4.7918 0.2644 -2.2191  0.0695
H -2.9194 2.8075 -1.7076  0.0958
C -9.5825 -4.9644 -0.2221  -0.0014
C 0.4053 0.6273 -1.6785  -0.2177
C 11.7058 2.8770 2.2291  0.0178
N -8.1645 -6.6145 -1.3473  0.0072
C -7.6559 -1.8447 2.1256  -0.0888
C -6.2692 0.4468 1.3056  -0.2603
H 7.3942 2.6366 -6.0953  0.0836
C 5.5685 -2.6298 2.6533  -0.0905
H 4.9342 -3.5265 2.6213  0.0893
N -11.4789 -8.6144 1.9799  0.0094
H 8.0422 1.1547 -5.3758  0.0799
Si -5.2955 1.9752 0.7855  0.6027
H 7.0500 5.9988 -0.5895  0.1357
H 12.0951 1.8980 1.9466  0.0872
H 9.0263 2.6260 -5.3900  0.0833
H 6.5744 7.2070 1.5342  0.0858
C 7.1989 0.6742 -0.1354  -0.2917
H -12.6788 -10.0274 1.0086  0.0830
H 2.6961 -0.5979 -2.0593  0.1055
H 2.0549 1.9268 -2.1313  0.1121
C -8.2807 -5.3408 -0.8802  -0.5342
H -8.1806 -2.7343 2.4516  0.1003
C -4.4233 2.6225 2.3502  -0.1636
C -6.9955 -1.8280 0.9092  -0.0770
H 4.9315 0.9443 1.3383  0.0047
C -1.4176 1.9714 -0.4279  -0.2059
H -3.5215 0.4904 -0.0619  0.0738
H -13.7454 -7.0851 2.4070  0.0854
H -1.4504 1.3317 -2.4717  0.1038
H -8.7435 -8.5270 -0.7313  0.0795
H 7.3599 -4.2453 1.6255  0.0854
H -4.4452 1.8329 3.1047  0.0255
H -12.8594 -5.9394 3.4238  0.0841
C -11.6094 -7.3460 2.4493  -0.5381
H -7.2742 -6.8077 -1.7777  0.1373
H -6.2373 3.3999 -1.0161  0.0251
H -6.9558 1.2995 3.1621  0.0983
H -9.5231 -3.9273 0.0964  0.0794
H -10.5818 -8.7963 1.5579  0.1316
H -5.7756 -0.6864 -0.4428  0.0942
C 2.8599 0.1229 -1.2533  -0.2745
H 12.1751 3.1654 3.1644  0.0831
H -0.2997 2.6463 -2.1606  0.1093
C -9.1462 -7.6774 -1.2885  -0.0829
H -4.9417 3.4901 2.7586  0.0267
H -10.4100 -5.0670 -0.9268  0.0887
H -12.0401 -10.5390 2.5787  0.0840
H 1.7190 1.7071 -0.3843  0.1190
H -7.4208 3.2114 0.3183  0.0262
C 8.1112 2.4133 1.5122  -0.1772
H 5.8916 -4.4791 0.6797  0.0817
H -6.0264 4.2981 0.4841  0.0230
H 4.2513 1.7701 -1.4146  0.0656
C -2.8596 2.5085 -0.6620  -0.2536
H 2.6930 -0.4309 -0.3250  0.0908
C 10.2180 2.7958 2.4527  -0.5553
H 3.6141 7.6011 -2.1580  0.0832
C 7.4960 2.1653 0.1437  -0.2351
H 11.9544 3.6119 1.4653  0.0866
C 7.6497 5.0782 -4.4203  -0.0842
H 6.7575 5.6804 -4.5566  0.0642
H -7.0024 -2.7034 0.2686  0.0758
O -7.3527 -4.5556 -0.9982  0.0217
C -7.6432 -0.7090 2.9218  -0.0974
N 7.3108 3.9061 -3.6380  0.0231
N 6.2636 -2.4712 1.3572  -0.1686
C 4.3066 0.6835 -1.3357  -0.2880
+++

Work out how many lines earlier on have the word "The" in them; a number is enough, please.

1